-- Listing --
+++
i.
Below is 2 unconnected molecules or ions with the total composition C3H13NSi2, with properties calculated with ωB97M-V with the def2-TZVPD basis set.

Element x y z (Å)
Si1 1.14 1.43 -0.91
Si2 -4.20 -0.30 0.57
N1 1.79 0.13 0.07
C1 0.99 -0.88 0.65
C2 3.17 -0.02 0.43
C3 -3.07 -0.18 -0.81
H1 -2.44 -1.10 -1.11
H2 3.40 0.04 1.43
H3 0.95 -0.80 1.69
H4 2.04 1.76 -1.88
H5 -5.37 0.52 0.92
H6 1.41 -1.98 0.39
H7 3.54 -0.97 0.15
H8 -0.07 0.79 -1.51
H9 -4.43 -1.49 1.56
H10 -0.01 -0.89 0.11
H11 3.79 0.63 -0.08
H12 -3.56 0.50 -1.54
H13 0.93 2.79 -0.12

Summary:
- LUMO (eV) = -0.003
- E_HOMO (Ha) = -0.308
- spin multiplicity = 1

Charges in e, computed with Löwdin, in the same order as the atoms: number 1, Si, carries 0.6132; number 2, Si, carries 0.6604; number 3, N, carries -0.4288; number 4, C, carries -0.1851; number 5, C, carries -0.1632; number 6, C, carries -0.3618; number 7, H, carries -0.0115; number 8, H, carries 0.0603; number 9, H, carries 0.0509; number 10, H, carries -0.1230; number 11, H, carries -0.1257; number 12, H, carries 0.1194; number 13, H, carries 0.0710; number 14, H, carries -0.0643; number 15, H, carries -0.1015; number 16, H, carries 0.0577; number 17, H, carries 0.0489; number 18, H, carries -0.0507; number 19, H, carries -0.0663

=====

ii.
Below is 2 unconnected molecules or ions with the total composition C3H13NSi2, with properties calculated with ωB97M-V with the def2-TZVPD basis set.

Element x y z (Å)
Si1 3.15 0.05 0.29
Si2 -0.83 1.07 0.46
N1 -1.60 -0.34 -0.15
C1 2.43 1.75 -0.11
C2 -1.38 -0.84 -1.49
C3 -2.51 -1.08 0.76
H1 -2.14 -0.41 -2.13
H2 2.04 -0.95 0.22
H3 -2.50 -0.56 1.81
H4 -0.29 0.87 1.79
H5 3.77 -0.09 1.70
H6 2.38 2.61 0.47
H7 -0.42 -0.45 -1.91
H8 4.19 -0.73 -0.62
H9 -1.50 -1.93 -1.32
H10 -2.19 -2.11 1.06
H11 2.42 1.92 -1.30
H12 -1.36 2.42 -0.03
H13 -3.63 -1.20 0.50

Summary:
- LUMO (alpha / beta) (eV) = -0.200 / -0.486
- E_HOMO (alpha / beta) (Ha) = -0.311 / -0.254
- spin multiplicity = 1

Charges in e, computed with Löwdin, in the same order as the atoms: number 1, Si, carries 0.4494; number 2, Si, carries 0.6888; number 3, N, carries -0.4607; number 4, C, carries -0.2911; number 5, C, carries -0.1568; number 6, C, carries -0.1706; number 7, H, carries 0.0660; number 8, H, carries -0.1156; number 9, H, carries 0.0731; number 10, H, carries -0.0930; number 11, H, carries -0.0938; number 12, H, carries -0.0839; number 13, H, carries 0.0795; number 14, H, carries -0.0825; number 15, H, carries 0.0926; number 16, H, carries 0.0756; number 17, H, carries 0.0218; number 18, H, carries -0.0931; number 19, H, carries 0.0942

=====

In eV, relative to the most stable structure: i 0.000; ii 1.188.


{
  "formula": "C36H66BCl2O16S7",
  "method": "ωB97M-V/def2-TZVPD",
  "symbols": ["C", "C", "C", "B", "C", "Cl", "C", "C", "Cl", "O", "C", "C", "O", "H", "H", "H", "H", "H", "H", "H", "H", "H", "H", "C", "C", "C", "S", "O", "O", "C", "H", "H", "H", "H", "H", "H", "H", "H", "C", "C", "C", "S", "O", "O", "C", "H", "H", "H", "H", "H", "H", "H", "H", "C", "C", "C", "S", "O", "O", "C", "H", "H", "H", "H", "H", "H", "H", "H", "C", "C", "C", "S", "O", "O", "C", "H", "H", "H", "H", "H", "H", "H", "H", "C", "C", "C", "S", "O", "O", "C", "H", "H", "H", "H", "H", "H", "H", "H", "C", "C", "C", "S", "O", "O", "C", "H", "H", "H", "H", "H", "H", "H", "H", "C", "C", "C", "S", "O", "O", "C", "H", "H", "H", "H", "H", "H", "H", "H"],
+++
-- Wanted --
Please retype everything further up with every line break kept.
-- Written answer --
i.
Below is 2 unconnected molecules or ions with the total composition C3H13NSi2, with properties calculated with ωB97M-V with the def2-TZVPD basis set.

Element x y z (Å)
Si1 1.14 1.43 -0.91
Si2 -4.20 -0.30 0.57
N1 1.79 0.13 0.07
C1 0.99 -0.88 0.65
C2 3.17 -0.02 0.43
C3 -3.07 -0.18 -0.81
H1 -2.44 -1.10 -1.11
H2 3.40 0.04 1.43
H3 0.95 -0.80 1.69
H4 2.04 1.76 -1.88
H5 -5.37 0.52 0.92
H6 1.41 -1.98 0.39
H7 3.54 -0.97 0.15
H8 -0.07 0.79 -1.51
H9 -4.43 -1.49 1.56
H10 -0.01 -0.89 0.11
H11 3.79 0.63 -0.08
H12 -3.56 0.50 -1.54
H13 0.93 2.79 -0.12

Summary:
- LUMO (eV) = -0.003
- E_HOMO (Ha) = -0.308
- spin multiplicity = 1

Charges in e, computed with Löwdin, in the same order as the atoms: number 1, Si, carries 0.6132; number 2, Si, carries 0.6604; number 3, N, carries -0.4288; number 4, C, carries -0.1851; number 5, C, carries -0.1632; number 6, C, carries -0.3618; number 7, H, carries -0.0115; number 8, H, carries 0.0603; number 9, H, carries 0.0509; number 10, H, carries -0.1230; number 11, H, carries -0.1257; number 12, H, carries 0.1194; number 13, H, carries 0.0710; number 14, H, carries -0.0643; number 15, H, carries -0.1015; number 16, H, carries 0.0577; number 17, H, carries 0.0489; number 18, H, carries -0.0507; number 19, H, carries -0.0663

=====

ii.
Below is 2 unconnected molecules or ions with the total composition C3H13NSi2, with properties calculated with ωB97M-V with the def2-TZVPD basis set.

Element x y z (Å)
Si1 3.15 0.05 0.29
Si2 -0.83 1.07 0.46
N1 -1.60 -0.34 -0.15
C1 2.43 1.75 -0.11
C2 -1.38 -0.84 -1.49
C3 -2.51 -1.08 0.76
H1 -2.14 -0.41 -2.13
H2 2.04 -0.95 0.22
H3 -2.50 -0.56 1.81
H4 -0.29 0.87 1.79
H5 3.77 -0.09 1.70
H6 2.38 2.61 0.47
H7 -0.42 -0.45 -1.91
H8 4.19 -0.73 -0.62
H9 -1.50 -1.93 -1.32
H10 -2.19 -2.11 1.06
H11 2.42 1.92 -1.30
H12 -1.36 2.42 -0.03
H13 -3.63 -1.20 0.50

Summary:
- LUMO (alpha / beta) (eV) = -0.200 / -0.486
- E_HOMO (alpha / beta) (Ha) = -0.311 / -0.254
- spin multiplicity = 1

Charges in e, computed with Löwdin, in the same order as the atoms: number 1, Si, carries 0.4494; number 2, Si, carries 0.6888; number 3, N, carries -0.4607; number 4, C, carries -0.2911; number 5, C, carries -0.1568; number 6, C, carries -0.1706; number 7, H, carries 0.0660; number 8, H, carries -0.1156; number 9, H, carries 0.0731; number 10, H, carries -0.0930; number 11, H, carries -0.0938; number 12, H, carries -0.0839; number 13, H, carries 0.0795; number 14, H, carries -0.0825; number 15, H, carries 0.0926; number 16, H, carries 0.0756; number 17, H, carries 0.0218; number 18, H, carries -0.0931; number 19, H, carries 0.0942

=====

In eV, relative to the most stable structure: i 0.000; ii 1.188.


{
  "formula": "C36H66BCl2O16S7",
  "method": "ωB97M-V/def2-TZVPD",
  "symbols": ["C", "C", "C", "B", "C", "Cl", "C", "C", "Cl", "O", "C", "C", "O", "H", "H", "H", "H", "H", "H", "H", "H", "H", "H", "C", "C", "C", "S", "O", "O", "C", "H", "H", "H", "H", "H", "H", "H", "H", "C", "C", "C", "S", "O", "O", "C", "H", "H", "H", "H", "H", "H", "H", "H", "C", "C", "C", "S", "O", "O", "C", "H", "H", "H", "H", "H", "H", "H", "H", "C", "C", "C", "S", "O", "O", "C", "H", "H", "H", "H", "H", "H", "H", "H", "C", "C", "C", "S", "O", "O", "C", "H", "H", "H", "H", "H", "H", "H", "H", "C", "C", "C", "S", "O", "O", "C", "H", "H", "H", "H", "H", "H", "H", "H", "C", "C", "C", "S", "O", "O", "C", "H", "H", "H", "H", "H", "H", "H", "H"],